Thursday, June 6, 2013

In the Middle

The statement, "Change is not easy." seems to be an understatement this week.

In life, "to change" yourself refers to the act of transforming, or transferring, one's original state-- whether it be an a physical aspect, mental or emotional mindset, or job/role in relation to others and/or society.  As creatures of habit, by nature, most of us are well aware that it takes a great deal of effort to make a change in life effective, smooth, and positive all at the same time. It is common for others to provide some sort of support or encouragement that usually involve the phrase, "It will take time." Typically, time does help alleviate uncomfortable change-- however, when paired with a plan of action to move towards positivity the movement of time seems to assist in the settling of the change.

Back in January, leaving my role as a teacher, after almost six years of experience plus years of schooling, seemed to be the climax in the plot of my life (at least so far). Prior to the decision, months of anxiety, thoughtful decision making, physical illness, and lots of prayer slowly acted as the rising action. I've mentioned this before, but I don't really have a problem saying it again-- putting in my resignation was one of the hardest things I have ever had to do in my life so far. To resign as a teacher was more than just quitting a job-- it was more like capping off a huge part of who I was. However, as challenging as it was to hurdle over, leaving my classroom and school behind was an essential step I needed to take towards emotional and physical recovery. It was like ripping off a bandaid that is so tightly adhered to a bad wound-- you know it will hurt tremendously, but at the end of it just had to be done.

As the weeks and months passed and my students and school continued on without me, I truly felt encouraged. I missed relationships and the children, but I was relieved to know that my life was really getting better and putting my career behind me didn't cause as big of an earthquake as I thought it would. In fact, my health continued to improve drastically and I had time to work on hobbies and other passions all while growing more into my role as a wife. Additionally, an admittance into The Art Institute of California to pursue a degree in Baking and Patisserie also came into view. I felt extremely blessed! This life of mine was just moving along and I could feel the change start to smoothly transition into something I was comfortable and proud of. Time really did make a difference. I had, and have, so much to look forward to.

As the plot starts to wind down, the climax has passed, and what seems to be the resolution starts to move on in-- I really felt like I was in the right place in life. However, this confidence, started to get a quite shaken during this last weekend and into this week.

Preparing for the start of my first quarter en route to being a pastry chef includes finalizing transferrable courses and testing out of some. This week, I was preparing a speech to give in front of an Effective Speaking course at the Art Institute in hopes of passing and not having to take it (thus saving me hundreds of dollars when we all know I can speak in front of people...that's just what I did for most of my adult life).  In the meantime, while I am preparing to speak to a crowd of strangers, the last week of school for my former students and colleagues has arrived. Since I have a hard time avoiding social media, I see pictures, statuses, comments-- you name it-- relating to end of the year field trips, classroom cleaning, graduating 5th graders, and the excitement for summer break. In the middle of the week, I found myself feeling like I was right in the middle of my past and my future-- I peaked into my new culinary ventures and looked back at a world that seemed so close to home, yet so far away.  Initially, I felt some interesting emotions, but didn't think anything of it since...well, time  had passed, changes had been made, and there was nothing to be emotional about. Well, too bad it wasn't that simple.

Two nights ago, I was practicing my speech in front of my husband. My content was great, but my delivery needed some work. I realized that it had been awhile since I had to prepare such a speech in front of people-- but I kept reminding myself that I used to do this all the big deal, right? Except, after stumbling over my words repeatedly during a fifth rehearsal, I lost it and broke down into tears. Yes, I was frustrated, but this moment was deeper than that. I suddenly realized that it wasn't just the speech I was upset about. In that moment, I felt completely lost as an individual and person. The thought of losing my finesse in regards to public speaking made me feel as if I was losing more and more of the professional educator I had so much pride in being. I felt like a piano out of tune that had lost the melody that so strongly defined it before.

I sat on the floor of my living room as my poor husband tried to console me. A flood of emotions filled me up as I thought about how much I missed parts of myself as a teacher. Although, truth be told-- the burnout was nothing to be desired again-- I missed how important I felt doing my job. That may seem quite egotistical, but I don't intend it to be. As a hard-working teacher, I was driven with strong motivation to help encourage, lead, and foster young children with the skills necessary to become more brighter and better individuals-- something that not everyone can do. Teachers do this everyday and anyone who thinks that running a classroom is just arts, crafts, and circle time is a fool. I realized that I missed being a part of this tremendously important group of people. I missed shaping lives and having their lives shape me.

**Between two parts of the text: records of crystals**
'''
Diffraction record for Cs2YAuI6. The powder XRD pattern is theoretical, not measured: it uses DFT lattice parameters and positions (PBE) and Cu Kα (weighted mean of Kα1 and Kα2).

Peak list (8 most intense, 10° ≤ 2θ ≤ 90°, by angle)
4.299 Å, 20.7 deg, I 24.6; 3.510 Å, 25.4 deg, I 60.5; 3.040 Å, 29.4 deg, I 100.0; 2.150 Å, 42.0 deg, I 74.8; 1.833 Å, 49.7 deg, I 27.7; 1.755 Å, 52.1 deg, I 26.5; 1.360 Å, 69.1 deg, I 34.0; 1.241 Å, 76.8 deg, I 25.4

```
Cs2YAuI6
1.0
0.000 6.080 6.080
6.080 0.000 6.080
6.080 6.080 0.000
Cs Y Au I
2 1 1 6
Cartesian
3.040 3.040 3.040
9.120 9.120 9.120
0.000 0.000 0.000
6.080 6.080 6.080
6.080 6.080 3.040
6.080 3.040 6.080
9.120 6.080 6.080
3.040 6.080 6.080
6.080 9.120 6.080
6.080 6.080 9.120
```



Diffraction record for SiO2. The powder XRD pattern is theoretical, not measured: it uses DFT lattice parameters and positions (PBE) and Cu Kα (weighted mean of Kα1 and Kα2).

Peak list (8 most intense, 10° ≤ 2θ ≤ 90°, by angle)
6.232 Å, 14.2 deg, I 40.5; 5.519 Å, 16.1 deg, I 100.0; 5.039 Å, 17.6 deg, I 34.6; 4.157 Å, 21.4 deg, I 17.8; 3.918 Å, 22.7 deg, I 54.6; 3.222 Å, 27.7 deg, I 21.6; 3.192 Å, 28.0 deg, I 40.0; 2.650 Å, 33.8 deg, I 18.2

```
SiO2
1.0
5.039 0.000 0.000
0.059 5.519 0.000
0.018 0.076 6.232
Si O
4 8
Cartesian
0.000 0.000 0.000
0.719 1.367 2.558
1.448 2.796 6.220
3.238 1.389 4.415
0.126 0.130 1.631
0.686 1.459 5.697
0.790 4.210 5.785
1.338 2.584 1.622
1.992 0.893 3.466
2.872 2.665 5.411
3.618 0.136 5.437
4.459 1.855 3.421
```

----------

No. 1
Simulated powder XRD pattern of LaDyEr2Sc for Cu Kα (λ = 1.5418 Å), from a DFT-relaxed cell (GGA-PBE, Alexandria).
Intensities are scaled so that the largest is 100.

Most intense lines, 2θ from 10° to 90°, sorted by position:
26.89°, I 81
31.91°, I 100
32.88°, I 47
41.17°, I 36
53.66°, I 33
63.87°, I 25

Cell and atoms:
Cell: 3.5553 5.4475 8.3564 Å, 90.00 90.00 90.00°
Sites, in units of the cell vectors:
La (0.0000, 0.0000, 0.0000)
Dy (0.5000, 0.0000, 0.5000)
Er (0.0000, 0.5000, 0.3137)
Er (0.0000, 0.5000, 0.6863)
Sc (0.5000, 0.5000, 0.0000)

No. 2
Simulated powder XRD pattern of K2CaAg2F6 for Cu Kα (λ = 1.5418 Å), from a DFT-relaxed cell (GGA-PBE, Alexandria).
Intensities are scaled so that the largest is 100.

Most intense lines, 2θ from 10° to 90°, sorted by position:
16.47°, I 55
27.23°, I 100
28.07°, I 45
31.42°, I 81
32.94°, I 23
40.56°, I 36

Cell and atoms:
Cell: 6.5893 6.5893 6.5333 Å, 115.04 115.04 57.68°
Sites, in units of the cell vectors:
K (0.2261, 0.2261, 0.1533)
K (0.7739, 0.7739, 0.8467)
Ca (0.0000, 0.0000, 0.5000)
Ag (0.4237, 0.4237, 0.7485)
Ag (0.5763, 0.5763, 0.2515)
F (0.1691, 0.6802, 0.2053)
F (0.2064, 0.2064, 0.5411)
F (0.3198, 0.8309, 0.7947)
F (0.6802, 0.1691, 0.2053)
F (0.7936, 0.7936, 0.4589)
F (0.8309, 0.3198, 0.7947)

No. 3
Simulated powder XRD pattern of Ba3Sr6Ir for Cu Kα (λ = 1.5418 Å), from a DFT-relaxed cell (GGA-PBE, Alexandria).
Intensities are scaled so that the largest is 100.
'''

What will I be now as a career woman? A future pastry chef? The pride I take in this is strong, but it really is such a different kind. I sat there realizing that as a pastry chef, I would never be as meaningful and important as a teacher is to a child. I hope that my creations and my work truly do move people and I can help be there during life's greatest moments to celebrate and build memories. Although this is something to be confident in, it just won't be the same. Truthfully, it breaks my heart a little bit. It's also so complex to leave a profession that I put so much time and my life in to move to a new career where I am starting back at square one-- it's humbling, but challenging.

With that said, I have no intentions of retreating in my move forward at in the field of baking and pastry. I can't wait to explore new horizons and allow the passionate seed I have in me to grow and prosper in ways I never expected or imagined. I just have to accept this backlash of making the change in my life and move on. Transitional phases are tough!

In the end, I picked myself off the living room room and carried on with my speech preparation. Last night, I confidently presented it and feel quite certain that I will be able to check that class off my list. It just felt like it took a lot out of me to get there.

A good friend and former colleague told me, "You will always be a teacher. Your students will always think back to 4th grade and remember you, always, as their teacher. You won't lose that place. Later on, you'll be a teacher to your children, too. You can't just erase the significance of being an educator from your life." She's right. It's just a little hard. Even though I know that everything is going to be just fine and glorious as I find myself in the middle, of the past and future, it's just a little hard.


  1. Friend, you may not be educating them any more but your desserts, and the love and creativity you put into making them, will help make their special moments sparkle. Just think: where would we be if Monet had quit painting because he wasn't changing lives with it? Or if Beethoven had abandoned music in favor of farming, a much more practical pursuit, I'm sure!

This entry pairs a crystal structure of Na2SnO3 with its simulated powder XRD pattern. Radiation: CuKα. Structure: the PBE geometry in the Materials Project.
Peak positions follow from Bragg's law for the DFT cell and can differ from measured ones.

Cell and atoms:
```
24
Lattice="2.8074 -4.8635 0.0000 2.8074 4.8635 0.0000 -1.8572 0.0000 11.0535" Properties=species:S:1:pos:R:3 pbc="T T T"
Na 0.4751 2.4317 5.5268
Na 1.4145 4.0448 8.2901
Na 1.3300 0.7811 0.0117
Na 0.4014 -0.7811 5.5385
Na 1.4037 -2.4317 0.0000
Na 3.3563 0.7811 5.5150
Na 2.4277 -0.7811 11.0418
Na 2.3431 -4.0448 2.7634
Sn 2.3431 2.4342 2.7634
Sn 1.4145 0.8007 8.2901
Sn 2.3431 -0.8007 2.7634
Sn 1.4145 -2.4342 8.2901
O -0.3599 0.9728 7.1071
O 0.3741 2.2460 9.4578
O 0.5687 -0.9728 1.5803
O 1.6068 0.8166 3.9377
O 2.4549 2.2460 7.1224
O 0.6782 -0.8166 9.4645
O 3.0794 0.8166 1.5890
O 1.3027 -2.2460 3.9311
O 2.1508 -0.8166 7.1158
O 3.1889 0.9728 9.4732
O 3.3835 -2.2460 1.5957
O 4.1176 -0.9728 3.9465
```

Largest 6 diffraction maxima, low angle first, 10 to 90 degrees two-theta:
two_theta  I (rel.)
16.04  76
32.36  49
33.70  48
38.74  100
55.08  32
56.79  30

~~~~~

(1)
Simulated X-ray powder pattern
Compound: Sc5Co2Ir
Radiation: λ = 1.5418 Å (Cu Kα)
Structure: DFT lattice parameters and positions (PBE)
Intensities are scaled so that the largest is 100.

Cell and atoms:
Cell: 6.654 6.654 13.322 Å, 90.00 90.00 90.00°
Space group I4/mcm (No. 140)
Symmetry-distinct sites (fractional):
Sc1 0.000 0.000 0.000 (multiplicity 4)
Sc2 0.178 0.322 0.142 (multiplicity 16)
Co1 0.119 0.381 0.500 (multiplicity 8)
Ir1 0.000 0.000 0.250 (multiplicity 4)

Largest 10 diffraction maxima, low angle first, 5 to 70 degrees two-theta:
- 18.9°, I = 30.6, hkl 1 1 0
- 23.1°, I = 91.9, hkl 1 1 2
- 26.8°, I = 28.0, hkl 0 0 4
- 32.9°, I = 35.6, hkl 1 1 4
- 36.3°, I = 54.7, hkl 2 1 3
- 38.2°, I = 100.0, hkl 2 0 4
- 43.0°, I = 58.1, hkl 3 1 0
- 45.2°, I = 29.5, hkl 1 1 6
- 51.4°, I = 25.8, hkl 3 1 4
- 62.4°, I = 16.7, hkl 4 2 0

=====

(2)
Simulated X-ray powder pattern
Compound: Sc6CoIr5
Radiation: λ = 1.5418 Å (Cu Kα)
Structure: DFT lattice parameters and positions (PBE)
Intensities are scaled so that the largest is 100.

Cell and atoms:
Cell: 4.569 13.695 6.376 Å, 90.00 90.00 90.00°
Space group Cmmm (No. 65)
Symmetry-distinct sites (fractional):
Sc1 0.000 0.000 0.247 (multiplicity 4)
Sc2 0.000 0.335 0.248 (multiplicity 8)
Co1 0.000 0.500 0.000 (multiplicity 2)
Ir1 0.000 0.166 0.000 (multiplicity 4)
Ir2 0.000 0.167 0.500 (multiplicity 4)
Ir3 0.000 0.500 0.500 (multiplicity 2)

Largest 10 diffraction maxima, low angle first, 5 to 70 degrees two-theta:
- 27.6°, I = 43.2, hkl 1 3 0
- 28.0°, I = 20.9, hkl 0 0 2
- 39.5°, I = 51.0, hkl 2 0 0
- 39.7°, I = 100.0, hkl 1 3 2
- 49.1°, I = 19.2, hkl 2 0 2
- 57.0°, I = 17.1, hkl 2 6 0
- 57.8°, I = 8.2, hkl 0 0 4
- 64.5°, I = 8.9, hkl 3 3 0
- 64.7°, I = 8.7, hkl 2 6 2
- 65.3°, I = 8.5, hkl 1 3 4

=====

(3)
Simulated X-ray powder pattern
Compound: TmTaCoIr
(The calculated crystals stop here)

  2. Amanda, thanks for sharing your thoughts. I'm excited for your new adventures to come! I can only imagine, from reading this post, how much courage it must have taken to make such a big change. I can't wait to see (and hopefully one day taste) what you create in the future! :)
